-- Listing --
┌──
<i>
{"formula": "C4H12NO2", "method": "ωB97M-V/def2-TZVPD", "species": ["C", "C", "C", "N", "C", "H", "H", "H", "H", "H", "H", "H", "H", "H", "H", "O", "H", "H", "O"], "coordinates": [[-0.069, 1.388, 2.315], [0.589, 0.221, 1.577], [1.083, 0.361, 0.352], [1.628, -0.647, -0.517], [1.817, -1.979, -0.395], [-0.719, 2.215, 1.823], [-0.350, 0.968, 3.140], [0.881, 2.043, 2.432], [0.578, -0.793, 1.988], [1.029, 1.245, -0.352], [2.101, -0.101, -1.358], [2.244, -2.440, -1.266], [1.303, -2.649, 0.394], [-0.679, 0.332, -2.409], [0.109, -0.313, -3.640], [0.189, 0.043, -2.740], [-3.883, -0.524, 0.011], [-4.176, 0.293, -1.095], [-3.677, 0.336, -0.259]], "charge": 1, "lumo_energy_ev": -5.30, "homo_lumo_gap_ev": 8.52, "homo_ha": -0.5076}


<ii>
{"formula": "C4H12NO2", "method": "ωB97M-V/def2-TZVPD", "species": ["O", "C", "C", "N", "C", "C", "H", "H", "H", "H", "H", "H", "H", "H", "H", "H", "H", "H", "O"], "coordinates": [[0.193, -1.442, -2.701], [1.126, -1.338, -1.965], [0.960, -0.561, -0.633], [-0.506, -0.347, -0.509], [-1.330, -0.963, 0.562], [1.757, 0.710, -0.699], [2.201, -1.649, -2.335], [1.195, -1.119, 0.223], [-0.566, 0.673, -0.454], [-1.099, -0.576, -1.336], [-1.445, -2.066, 0.565], [-2.313, -0.576, 0.295], [-0.628, -0.644, 1.365], [1.452, 1.430, -1.462], [2.766, 0.373, -0.659], [1.603, 1.308, 0.285], [-2.133, 2.114, 2.421], [-1.774, 2.580, 3.915], [-1.459, 2.092, 3.122]], "charge": 1, "lumo_energy_ev": -3.36, "homo_lumo_gap_ev": 11.25, "homo_ha": -0.5369}


<iii>
{"formula": "C4H12NO2", "method": "ωB97M-V/def2-TZVPD", "species": ["C", "C", "C", "C", "N", "H", "H", "H", "H", "H", "H", "H", "H", "H", "H", "O", "H", "H", "O"], "coordinates": [[-1.197, -1.188, -1.089], [0.242, -0.884, -0.871], [1.264, -1.669, -1.207], [-0.252, 1.162, 0.297], [0.525, 0.171, 0.090], [-1.740, -0.556, -1.808], [-1.478, -2.188, -1.375], [-1.774, -0.952, -0.188], [2.099, -1.808, -0.524], [1.318, -2.271, -2.103], [0.231, 2.084, 0.605], [-1.320, 1.111, 0.309], [1.550, 0.207, 0.267], [-3.333, 1.138, 1.913], [-3.868, 2.509, 1.500], [-3.049, 2.026, 1.667], [3.840, 1.007, 0.422], [3.697, -0.207, 1.389], [3.246, 0.305, 0.706]], "charge": 1, "lumo_energy_ev": -4.69, "homo_lumo_gap_ev": 9.04, "homo_ha": -0.5045}


<iv>
{"formula": "C4H12NO2", "method": "ωB97M-V/def2-TZVPD", "species": ["C", "C", "C", "C", "O", "N", "H", "H", "H", "H", "H", "H", "H", "H", "H", "H", "H", "H", "O"], "coordinates": [[0.265, 0.277, -0.479], [1.492, 0.955, 0.495], [1.758, 0.393, 1.979], [1.773, -1.083, 1.876], [2.099, -1.710, 0.902], [0.671, -0.956, -0.976], [-0.606, 0.368, 0.154], [0.199, 1.128, -1.178], [2.502, 1.186, -0.023], [1.076, 1.961, 0.477], [2.665, 0.808, 2.383], [0.906, 0.638, 2.482], [1.571, -1.788, 2.739], [1.679, -0.993, -1.157], [0.264, -1.449, -1.831], [0.737, -1.787, -0.275], [-6.301, 0.583, -3.343], [-6.564, 0.416, -1.748], [-6.188, 1.052, -2.477]], "charge": 1, "lumo_energy_ev": -3.31, "homo_lumo_gap_ev": 10.09, "homo_ha": -0.4922}


Top of the stability list: <iii>, leading by 4.6 kcal/mol.


<i>
{"formula": "C3H6O2", "method": "ωB97M-V/def2-TZVPD", "species": ["O", "C", "C", "C", "O", "H", "H", "H", "H", "H", "H"], "coordinates": [[-0.268, -0.564, -1.612], [0.079, 0.627, -0.931], [-0.334, 0.429, 0.518], [0.463, -0.698, 1.039], [0.101, -1.164, 2.226], [0.113, -0.531, -2.497], [-0.438, 1.495, -1.361], [1.164, 0.810, -0.971], [-1.394, 0.156, 0.583], [-0.174, 1.329, 1.126], [0.689, -1.890, 1.879]], "lumo_energy_ev": 1.00, "homo_lumo_gap_ev": 9.36, "homo_ha": -0.3072}


<ii>
{"formula": "C3H6O2", "method": "ωB97M-V/def2-TZVPD", "species": ["C", "C", "O", "C", "O", "H", "H", "H", "H", "H", "H"], "coordinates": [[-1.180, -0.746, -0.716], [0.004, -0.334, -1.162], [1.073, 0.114, -0.442], [0.921, 0.247, 0.953], [-0.143, 1.076, 1.303], [-1.444, -0.768, 0.334], [-1.930, -1.043, -1.439], [0.245, -0.285, -2.220], [0.729, -0.722, 1.434], [1.885, 0.652, 1.284], [-0.158, 1.809, 0.672]], "lumo_energy_ev": 0.94, "smiles": "C=COCO", "homo_lumo_gap_ev": 10.16, "homo_ha": -0.3387}
└──
-- Brief --
What is needed: restate everything further up word for word.
-- Solution --
<i>
{"formula": "C4H12NO2", "method": "ωB97M-V/def2-TZVPD", "species": ["C", "C", "C", "N", "C", "H", "H", "H", "H", "H", "H", "H", "H", "H", "H", "O", "H", "H", "O"], "coordinates": [[-0.069, 1.388, 2.315], [0.589, 0.221, 1.577], [1.083, 0.361, 0.352], [1.628, -0.647, -0.517], [1.817, -1.979, -0.395], [-0.719, 2.215, 1.823], [-0.350, 0.968, 3.140], [0.881, 2.043, 2.432], [0.578, -0.793, 1.988], [1.029, 1.245, -0.352], [2.101, -0.101, -1.358], [2.244, -2.440, -1.266], [1.303, -2.649, 0.394], [-0.679, 0.332, -2.409], [0.109, -0.313, -3.640], [0.189, 0.043, -2.740], [-3.883, -0.524, 0.011], [-4.176, 0.293, -1.095], [-3.677, 0.336, -0.259]], "charge": 1, "lumo_energy_ev": -5.30, "homo_lumo_gap_ev": 8.52, "homo_ha": -0.5076}


<ii>
{"formula": "C4H12NO2", "method": "ωB97M-V/def2-TZVPD", "species": ["O", "C", "C", "N", "C", "C", "H", "H", "H", "H", "H", "H", "H", "H", "H", "H", "H", "H", "O"], "coordinates": [[0.193, -1.442, -2.701], [1.126, -1.338, -1.965], [0.960, -0.561, -0.633], [-0.506, -0.347, -0.509], [-1.330, -0.963, 0.562], [1.757, 0.710, -0.699], [2.201, -1.649, -2.335], [1.195, -1.119, 0.223], [-0.566, 0.673, -0.454], [-1.099, -0.576, -1.336], [-1.445, -2.066, 0.565], [-2.313, -0.576, 0.295], [-0.628, -0.644, 1.365], [1.452, 1.430, -1.462], [2.766, 0.373, -0.659], [1.603, 1.308, 0.285], [-2.133, 2.114, 2.421], [-1.774, 2.580, 3.915], [-1.459, 2.092, 3.122]], "charge": 1, "lumo_energy_ev": -3.36, "homo_lumo_gap_ev": 11.25, "homo_ha": -0.5369}


<iii>
{"formula": "C4H12NO2", "method": "ωB97M-V/def2-TZVPD", "species": ["C", "C", "C", "C", "N", "H", "H", "H", "H", "H", "H", "H", "H", "H", "H", "O", "H", "H", "O"], "coordinates": [[-1.197, -1.188, -1.089], [0.242, -0.884, -0.871], [1.264, -1.669, -1.207], [-0.252, 1.162, 0.297], [0.525, 0.171, 0.090], [-1.740, -0.556, -1.808], [-1.478, -2.188, -1.375], [-1.774, -0.952, -0.188], [2.099, -1.808, -0.524], [1.318, -2.271, -2.103], [0.231, 2.084, 0.605], [-1.320, 1.111, 0.309], [1.550, 0.207, 0.267], [-3.333, 1.138, 1.913], [-3.868, 2.509, 1.500], [-3.049, 2.026, 1.667], [3.840, 1.007, 0.422], [3.697, -0.207, 1.389], [3.246, 0.305, 0.706]], "charge": 1, "lumo_energy_ev": -4.69, "homo_lumo_gap_ev": 9.04, "homo_ha": -0.5045}


<iv>
{"formula": "C4H12NO2", "method": "ωB97M-V/def2-TZVPD", "species": ["C", "C", "C", "C", "O", "N", "H", "H", "H", "H", "H", "H", "H", "H", "H", "H", "H", "H", "O"], "coordinates": [[0.265, 0.277, -0.479], [1.492, 0.955, 0.495], [1.758, 0.393, 1.979], [1.773, -1.083, 1.876], [2.099, -1.710, 0.902], [0.671, -0.956, -0.976], [-0.606, 0.368, 0.154], [0.199, 1.128, -1.178], [2.502, 1.186, -0.023], [1.076, 1.961, 0.477], [2.665, 0.808, 2.383], [0.906, 0.638, 2.482], [1.571, -1.788, 2.739], [1.679, -0.993, -1.157], [0.264, -1.449, -1.831], [0.737, -1.787, -0.275], [-6.301, 0.583, -3.343], [-6.564, 0.416, -1.748], [-6.188, 1.052, -2.477]], "charge": 1, "lumo_energy_ev": -3.31, "homo_lumo_gap_ev": 10.09, "homo_ha": -0.4922}


Top of the stability list: <iii>, leading by 4.6 kcal/mol.


<i>
{"formula": "C3H6O2", "method": "ωB97M-V/def2-TZVPD", "species": ["O", "C", "C", "C", "O", "H", "H", "H", "H", "H", "H"], "coordinates": [[-0.268, -0.564, -1.612], [0.079, 0.627, -0.931], [-0.334, 0.429, 0.518], [0.463, -0.698, 1.039], [0.101, -1.164, 2.226], [0.113, -0.531, -2.497], [-0.438, 1.495, -1.361], [1.164, 0.810, -0.971], [-1.394, 0.156, 0.583], [-0.174, 1.329, 1.126], [0.689, -1.890, 1.879]], "lumo_energy_ev": 1.00, "homo_lumo_gap_ev": 9.36, "homo_ha": -0.3072}


<ii>
{"formula": "C3H6O2", "method": "ωB97M-V/def2-TZVPD", "species": ["C", "C", "O", "C", "O", "H", "H", "H", "H", "H", "H"], "coordinates": [[-1.180, -0.746, -0.716], [0.004, -0.334, -1.162], [1.073, 0.114, -0.442], [0.921, 0.247, 0.953], [-0.143, 1.076, 1.303], [-1.444, -0.768, 0.334], [-1.930, -1.043, -1.439], [0.245, -0.285, -2.220], [0.729, -0.722, 1.434], [1.885, 0.652, 1.284], [-0.158, 1.809, 0.672]], "lumo_energy_ev": 0.94, "smiles": "C=COCO", "homo_lumo_gap_ev": 10.16, "homo_ha": -0.3387}